
3 years ago...

this was us...

/*
C37H49GeHfN2O | ωB97M-V with the def2-TZVPD basis set

LUMO = -3.48 eV
Relative energy (zero: lowest compared OMol25 entry of this formula, charge and spin) = 30.71 kcal/mol
Frontier orbital gap = 6.354 eV
HOMO = -9.83 eV

```
! RIJCOSX wB97M-V def2-TZVPD def2/J DEFGRID3
* xyz 1 1
Hf -0.081 0.375 -0.210
C 0.953 0.230 3.061
N -0.164 0.862 2.333
C -1.431 0.345 2.895
C -0.151 2.312 2.503
C 0.987 2.963 1.773
N 0.826 2.839 0.315
C -0.081 3.896 -0.183
C 2.137 3.031 -0.343
H 0.929 0.534 4.114
H 1.906 0.491 2.614
H 0.858 -0.850 2.995
H -1.553 0.671 3.933
H -1.416 -0.739 2.880
H -2.281 0.692 2.308
H -0.094 2.576 3.566
H -1.099 2.700 2.130
H 1.938 2.511 2.050
H 1.030 4.016 2.070
H 0.363 4.884 -0.025
H -1.038 3.860 0.331
H -0.258 3.765 -1.250
H 2.502 4.049 -0.174
H 2.043 2.869 -1.418
H 2.865 2.331 0.054
C 1.810 -0.360 0.197
Ge 2.413 -1.741 -0.969
C 1.354 -1.601 -2.616
C 0.801 -0.354 -2.935
C 0.019 -0.156 -4.072
C -0.215 -1.226 -4.918
C 0.356 -2.468 -4.641
C 1.137 -2.652 -3.506
C 2.143 -3.502 -0.159
C 1.072 -4.341 -0.453
C 0.894 -5.548 0.216
C 1.799 -5.937 1.191
C 2.882 -5.118 1.492
C 3.048 -3.912 0.826
C 4.327 -1.612 -1.321
C 5.086 -2.758 -1.562
C 6.460 -2.675 -1.747
C 7.098 -1.444 -1.686
C 6.354 -0.293 -1.465
C 4.980 -0.380 -1.286
H 2.492 0.485 0.023
H 1.043 0.521 -2.299
H -0.384 0.823 -4.302
H -0.826 -1.096 -5.801
H 0.191 -3.295 -5.320
H 1.576 -3.623 -3.308
H 0.373 -4.063 -1.232
H 0.056 -6.188 -0.030
H 1.670 -6.881 1.705
H 3.603 -5.429 2.237
H 3.898 -3.283 1.065
H 4.601 -3.727 -1.599
H 7.034 -3.574 -1.934
H 8.172 -1.382 -1.806
H 6.845 0.672 -1.426
H 4.413 0.530 -1.118
C -3.117 2.548 -1.743
C -4.096 2.278 -0.596
C -3.661 2.978 0.692
C -4.354 0.806 -0.324
C -5.675 0.390 -0.176
C -5.993 -0.930 0.088
C -4.979 -1.872 0.130
C -3.648 -1.506 -0.030
C -2.597 -2.593 -0.131
C -1.606 -2.608 1.030
C -1.895 -2.542 -1.493
C -3.346 -0.152 -0.183
O -2.027 0.249 -0.197
H -3.164 3.599 -2.034
H -3.362 1.943 -2.617
H -2.090 2.325 -1.454
H -5.056 2.703 -0.898
H -2.663 2.641 0.972
H -4.343 2.738 1.509
H -3.648 4.064 0.570
H -6.465 1.126 -0.269
H -7.025 -1.227 0.222
H -5.221 -2.919 0.274
H -3.141 -3.539 -0.096
H -0.903 -1.761 0.997
H -1.003 -3.515 1.017
H -2.138 -2.563 1.981
H -1.044 -1.853 -1.510
H -2.588 -2.227 -2.274
H -1.512 -3.522 -1.774
*
```

=====

# C11H19F6N3O8RhS2

A molecular structure, C11H19F6N3O8RhS2 (ωB97M-V/def2-TZVPD, OMol25).

Structure (XYZ):
```
50
Properties=species:S:1:pos:R:3:lowdin_spin:R:1
Rh 0.963 0.342 -0.247 2.57
C 1.113 -4.487 -0.726 0.08
N 0.599 -3.733 0.374 0.66
C 0.164 -4.400 1.569 0.07
C 0.476 -2.193 0.230 0.03
O 1.079 -1.787 -0.841 0.08
C -1.036 -1.872 0.308 0.02
O -1.132 -0.449 0.434 0.05
C -2.213 0.161 -0.255 0.00
C -1.713 0.661 -1.611 0.01
O -0.531 0.434 -1.916 0.06
N -2.544 1.323 -2.400 0.01
C -3.920 1.633 -2.036 0.00
C -2.056 1.924 -3.640 0.00
H 0.270 -4.959 -1.249 0.04
H 1.623 -3.808 -1.405 0.01
H 1.758 -5.285 -0.358 0.02
H -0.756 -4.956 1.349 0.03
H 0.917 -5.130 1.871 0.02
H -0.012 -3.674 2.356 0.00
H -1.500 -2.209 -0.621 0.00
*/

and here's us three years later...

it's crazy how time flies. on one hand it feels like we just got married yesterday, and on the other, i can't even remember what life was like not having my best friend as my husband. and i like it that way :)
to celebrate our 3 years of amazingness, Brett planned a secret getaway and the only condition was that we had to leave Dylan so we could have alone time, and do whatever we wanted and not be restricted by nap times and early bedtimes. when Brett told me that stipulation, i almost started crying. the thought of leaving my baby boy for not one, but TWO nights made me ache. i kept flip flopping the entire week before the trip between telling Brett "okay let's leave him" and "can't we just take him?" and finally, Thursday night (the day before we left) while we were packing for the trip, i asked Brett to give me a blessing because i just couldn't make up my mind. both decisions had pretty big cons in my mind. so he gave me a blessing, and it was just what i needed. i had absolute peace and was so calm about leaving him after that blessing. it's amazing how blessings do that :)
so i wrote up a very extremely detailed list of Dylan's schedule (which i spent an hour writing then forgot to take it to Dylan's grandparents house) and packed his things, and we were off Friday afternoon. we dropped him off, and all i did was hug him and whispered that i knew Heavenly Father would watch over him and kissed him, told him i loved him, and didn't look back. it was surprisingly easy for me. no tears. no sadness. just happiness that my weekend was beginning and Dylan's fun weekend with his grandparents was starting too. i had no doubt in my mind he would be taken care of and safe.
so we drove to the "secret" getaway destination which was Park City (one of my favorite places) and oh my goodness we had a blast! two full days of hot tubbing as much as we wanted, staying up as late as we wanted, sleeping in until whenever, going all day without having to go back to the hotel once unless we wanted too. i had honestly forgotten how nice it is to not have a little baby make all the decisions about what we do in our day! it was awesome! of course, i made Brett call his mom like 12 times to check on Dylan throughout the weekend, just to ease my occasional thoughts that Dylan might not be fine, but he did awesome! he slept through the night, stayed on his sleep schedule! seriously, that kid is an angel. it worked out perfectly for all of us, just like my blessing said it would. it was fabulous.

here are some pics from the trip, it was amazing :)

i am so grateful that Brett pushed me to have this experience without our son, not just because we got to celebrate the best decision we ever made and the best 3 years of our lives and just be together without worrying about baby needs, but because it taught me that i can trust others to watch my son and i don't need to keep him with me 24/7. it taught me that it's okay to leave him and go do things just us. 99% of the time we take him on the dates we go on, not because we don't have babysitters, we have plenty. we take him because not only do we like his company, but we take him because we don't want to leave him. after this experience, i am pretty sure we will have a set date night each week where we leave him and go just us. because it's important, and it's fun, and it helps that spark burn even brighter then it already is. it's amazing what being alone can do for your relationship.
and not only that, i feel so rejuvenated as a mom. it was awesome to have a break from crying, nap times, wiping noses and changing diapers.
thank you babe for this experience! not only was it amazing, but i learned so much!

1 comment:

Brett Hancock said...

We still had to worry about my nap time because I'm old now.